Why is it important for teachers to continue professional development?
This is a topic that will no doubt cause you to sigh and possibly even groan…
Professional development is most often viewed in a negative light and causes feelings of resentment for its demands on one’s time and sometimes finances. But it is a good thing for us all. The best possible teacher in every classroom coupled with the best quality of teaching ensures the success of every child, which then directly relates to the success of the community. Whether we like it or not, professional development is the strategy to accomplish this.
Read on for five reasons why it is important for us to continuously develop ourselves as professionals.
1. The complexity of teaching
The complexity of teaching is great. Many educators leave the profession within the first 3-5 years. We are continually faced with the challenges of changes in subject content, changes in the laws, advances in technology, new teaching methods, changes in administration and student learning needs. Educators who do not engage in professional development can easily feel at sea – not a fun place to be.
Data records, as found in the file:
<<<
Calculated powder X-ray diffraction pattern of Tb2Nd6Mg for Cu Kα (weighted mean of Kα1 and Kα2), from the GGA-PBE geometry in Alexandria.
Intensities are scaled so that the largest is 100.

Largest 10 diffraction maxima, in order of rising 2θ, 5 to 70 degrees two-theta:
d_spacing, intensity
3.389, 23
3.295, 33
3.086, 31
2.836, 78
2.823, 100
2.761, 56
2.694, 65
2.058, 22
1.819, 22
1.453, 25

Crystal structure
Lattice parameters (Å, degrees): 11.643 11.643 11.643 149.26 131.72 58.34
Element x y z (fractional)
Tb 0.170 0.052 0.223
Tb 0.330 0.552 0.882
Tb 0.670 0.448 0.118
Tb 0.830 0.948 0.777
Nd 0.004 0.730 0.076
Nd 0.081 0.581 0.500
Nd 0.153 0.230 0.726
Nd 0.347 0.072 0.076
Nd 0.419 0.919 0.500
Nd 0.496 0.572 0.726
Nd 0.504 0.428 0.274
Nd 0.581 0.081 0.500
Nd 0.653 0.928 0.924
Nd 0.847 0.770 0.274
Nd 0.919 0.419 0.500
Nd 0.996 0.270 0.924
Mg 0.250 0.750 0.500
Mg 0.750 0.250 0.500

Calculated powder X-ray diffraction pattern of Ho5ErBi5 for Cu Kα (weighted mean of Kα1 and Kα2), from the GGA-PBE geometry in Alexandria.
Intensities are scaled so that the largest is 100.

Largest 10 diffraction maxima, in order of rising 2θ, 5 to 70 degrees two-theta:
d_spacing, intensity
3.119, 51
3.104, 100
2.200, 98
2.190, 19
1.798, 21
1.792, 21
1.552, 13
1.394, 19
1.391, 9
1.389, 18
>>>
2. Teachers learn better ways to teach
Through professional development we can implement new teaching strategies that better suit the needs of learners.
New teachers have an overwhelming number of issues to face each day. Left to themselves, new teachers may develop unsuitable practices. But, through professional development, they can learn more effective ways to meet these challenges. Veteran teachers are not exempt and will find professional development worthwhile in helping to meet the ongoing changes and advancements in education.
3. Teachers develop better organisational and planning skills
Professional development goes a long way in helping educators in time management and planning of the various administration and out of classroom duties. This ultimately has the effect of making us more efficient, allowing extra time to focus on our learners.
We are exposed to new methods and strategies for those administration tasks that we all don’t like and find so time consuming.
4. Teachers gain knowledge
We are expected to be experts on the subjects we teach and able to answer any and every question that learners ask. Professional development allows us to expand our knowledge base giving us more confidence and insight into the subjects we teach. This also helps us to remain interested and interesting.
We also gain new knowledge through exchanging our knowledge and ideas with other teachers. Senior teachers can become mentors to new teachers and new teachers are able to share the latest in teaching techniques for the best outcome.
_What comes next are materials data, not part of the piece_
Structure and simulated X-ray diffraction stick pattern of Rb2NpCdTe4 (a crystal structure in Alexandria, relaxed with GGA-PBE; a wavelength of 1.5418 Å).

Most intense lines, 2θ = 15–90°, sorted by position:
2θ 25.06, intensity 724
2θ 28.19, intensity 450
2θ 30.60, intensity 1000
2θ 39.48, intensity 239
2θ 41.75, intensity 176
2θ 42.85, intensity 131
2θ 43.29, intensity 224
2θ 45.30, intensity 192
2θ 46.94, intensity 210
2θ 51.43, intensity 132
2θ 55.83, intensity 132
2θ 70.92, intensity 171

Cell and atoms:
Cell: 7.4130 7.4130 7.4130 Å, 105.70 105.70 117.30°
Atoms (fractional coordinates):
Rb 0.0000 0.5000 0.5000
Rb 0.5000 0.0000 0.5000
Np 0.0000 0.0000 0.0000
Cd 0.5000 0.5000 0.0000
Te 0.0826 0.0826 0.6500
Te 0.4325 0.4325 0.3500
Te 0.5675 0.9174 0.0000
Te 0.9174 0.5675 0.0000

~~~~~

For PmY5Tm5, a DFT-relaxed cell (GGA-PBE, Alexandria) gives the calculated X-ray diffraction stick pattern in this record (λ = 1.5418 Å (Cu Kα)).
Kinematic intensities with the Lorentz-polarization factor, no thermal factor.

Atomic structure:
Cell: 18.8295 5.8730 6.9249 Å, 90.00 111.16 90.00°
Space group C2/m (No. 12)
Inequivalent atoms, fractional coordinates:
Pm 0.0000 0.0000 0.0000 x2
Y 0.0000 0.5000 0.0000 x2
Y 0.1800 0.0000 0.4263 x4
Y 0.1796 0.0000 0.9336 x4
Tm 0.0000 0.0000 0.5000 x2
Tm 0.1231 0.5000 0.6252 x4
Tm 0.1685 0.5000 0.1703 x4

Top 10 peaks for 15 to 90 degrees two-theta, low angle first:
(hkl), 2θ (°), intensity
3 1 0, 21.43, 34.3
2 0 -2, 25.73, 30.5
5 1 0, 29.64, 28.9
0 2 0, 30.43, 100.0
6 0 0, 30.55, 42.1
1 1 2, 33.64, 79.6
5 1 -2, 33.81, 76.9
2 2 -2, 40.26, 22.2
6 2 0, 43.67, 31.4
1 3 2, 56.16, 22.9
_The piece goes on_
And lastly but by no means least…
5. Learners gain better learning outcomes
The best quality of teaching secures the best outcome for each learner. Their learning needs are understood and effectively addressed. Educators are kept abreast with each changing generation’s needs in the way they learn and relate to their world. This is particularly relevant to technology and social fields.
Professional development is essential for both teacher and learner. To this end we at SACE Points Guide have put together a variety of professional development opportunities. There is an option to meet your requirement of ongoing skills and best practice development.